The green mamba is one of the six deadly green snakes in the world. This makes them so opposite to the mild green tree snake. But what is the difference between a green mamba and a green tree snake? Let’s find out in this article.

Comparing a Green Mamba and a Green Tree Snake

The Key Differences Between Green Mamba and Green Tree Snakes

The major difference between a green mamba and a green tree snake lies in their size. Green mambas are generally heavier and longer than green tree snakes. But, green tree snakes are prettier and more colorful. Also, green tree snakes are more popular than green mambas because it is easier to see them around. They are more of the “everyday” snakes that don’t give any real cause for alarm. But there’s more to these two snakes. Let’s go deep into the key differences between these two creatures.

Green Mamba vs Green Tree Snake: Size and Appearance

Typically, the green mamba is a long snake with a slender body and a surprisingly heavy bodyweight for its looks. It has a narrow head shaped like a coffin and smooth scales. Green mambas have short fangs in front of their mouth, and light green scales cover their darker green bodies. They grow as much as 4 feet to 7 feet long, and the female species are often bigger than the males. Green tree snakes are long, slender, and agile. They are usually about 3 feet to 5.4 feet long. This snake has eyes more prominent than most snakes with large pupils and golden-speckled irises. In the place of a dangerous fang, this snake possesses sharp, angled, and slim teeth that can be used to bite and chew the esophagus of its prey.

Green Mamba vs Green Tree Snake: Color Types

• The piece is interrupted by calculated crystals:
┌──
Version P
# Sr2VMoO6

An optimized crystal structure of Sr2VMoO6 (PBE with a Hubbard U, Materials Project).

a b c (Å): 6.924 6.924 6.924
angles (deg): 109.64 109.52 109.26
Fractional positions:
Sr 0.000 0.000 0.500
Sr 0.000 0.500 0.000
Sr 0.500 0.000 0.000
Sr 0.500 0.500 0.500
V 0.000 0.000 0.000
V 0.500 0.500 0.000
Mo 0.000 0.500 0.500
Mo 0.500 0.000 0.500
O 0.000 0.249 0.249
O 0.000 0.751 0.751
O 0.238 0.000 0.238
O 0.241 0.741 0.500
O 0.250 0.250 0.000
O 0.251 0.500 0.751
O 0.500 0.263 0.763
O 0.500 0.737 0.237
O 0.749 0.500 0.249
O 0.750 0.750 0.000
O 0.759 0.259 0.500
O 0.762 0.000 0.762

Output
Space group: No. 71
Calculated density, g cm⁻³: 5.43
Total moment, Bohr magnetons per cell: 0.00



Version Q
# Sr2VMoO6

An optimized crystal structure of Sr2VMoO6 (PBE with a Hubbard U, Materials Project).

a b c (Å): 4.033 7.914 8.051
angles (deg): 90.00 90.11 90.00
Fractional positions:
Sr 0.000 0.246 0.247
Sr 0.000 0.246 0.753
Sr 0.000 0.754 0.247
Sr 0.000 0.754 0.753
V 0.500 0.000 0.000
V 0.500 0.500 0.500
Mo 0.500 0.000 0.500
Mo 0.500 0.500 0.000
O 0.000 0.000 0.000
O 0.000 0.000 0.500
O 0.000 0.500 0.000
O 0.000 0.500 0.500
O 0.497 0.500 0.751
O 0.500 0.000 0.249
O 0.500 0.000 0.751
O 0.500 0.236 0.000
O 0.500 0.247 0.500
O 0.500 0.753 0.500
O 0.500 0.764 0.000
O 0.503 0.500 0.249

Output
Space group: No. 10
Calculated density, g cm⁻³: 5.40
Total moment, Bohr magnetons per cell: 0.78



Among the structures shown above, version P is the most stable, with the second-best lying 1.8 kJ/mol of atoms higher.

* * * * *

1.
A geometry-optimized UBr4 structure. Source: the Materials Project, functional GGA-PBE.

Cell: 11.346 8.889 7.654 Å, 90.00 93.21 90.00°
Space group C2/m (No. 12)
One atom of each set of equivalent atoms:
U1 0.196 0.000 0.442 (multiplicity 4)
Br1 0.050 0.000 0.732 (multiplicity 4)
Br2 0.141 0.309 0.349 (multiplicity 8)
Br3 0.177 0.500 0.839 (multiplicity 4)

Properties
Energy with MP2020 corrections: -5.331 eV per atom


2.
A geometry-optimized VBr3 structure. Source: the Materials Project, functional GGA-PBE.

Cell: 9.9427 9.9427 3.3635 Å, 90.00 90.00 120.00°
Space group P6_3/mmc (No. 194)
One atom of each set of equivalent atoms:
V1 0.3333 0.6667 0.2500 (multiplicity 2)
Br1 0.2210 0.4420 0.7500 (multiplicity 6)

Properties
Energy with MP2020 corrections: -4.678 eV per atom


3.
A geometry-optimized W2Br5 structure. Source: the Materials Project, functional GGA-PBE.

Cell: 9.538 11.238 18.544 Å, 90.00 103.93 90.00°
Space group P2_1/c (No. 14)
One atom of each set of equivalent atoms:
W1 0.074 0.199 0.365 (multiplicity 4)
W2 0.124 0.110 0.943 (multiplicity 4)
W3 0.153 0.105 0.809 (multiplicity 4)
W4 0.340 0.245 0.888 (multiplicity 4)
Br1 0.021 0.206 0.496 (multiplicity 4)
Br2 0.104 0.509 0.176 (multiplicity 4)
Br3 0.115 0.677 0.732 (multiplicity 4)
Br4 0.137 0.521 0.577 (multiplicity 4)
Br5 0.180 0.590 0.386 (multiplicity 4)
Br6 0.196 0.185 0.248 (multiplicity 4)
Br7 0.273 0.052 0.436 (multiplicity 4)
└──

Green mambas are usually very bright green, with some of them having black keels on their heads. Their bellies are typically light green to yellow. Some green mambas are just regular green anyway. Green tree snakes have more colors than green mambas, which are shinier. This species can come in olive green, bright green, golden yellow, stunning black, and in some cases, even blue! The underside of this species is usually pale yellow, and they have tiny blue flecks sprinkled on the flanks.

Green Mamba vs Green Tree Snake: Venom

== The piece is interrupted by data records ==
+++
Entry from the Materials Project: Mn2P2H7NO10 after structural relaxation (GGA+U).

CIF file:
```
data_Mn2P2H7NO10
_cell_length_a 6.959
_cell_length_b 7.934
_cell_length_c 16.126
_cell_angle_alpha 90.00
_cell_angle_beta 90.00
_cell_angle_gamma 90.00
_symmetry_space_group_name_H-M 'P 1'
_symmetry_Int_Tables_number 1
_symmetry_space_group_name_Hall 'P 1'
loop_
_atom_site_label
_atom_site_type_symbol
_atom_site_fract_x
_atom_site_fract_y
_atom_site_fract_z
Mn1 Mn 0.118 0.246 0.001
Mn2 Mn 0.138 0.428 0.544
Mn3 Mn 0.362 0.572 0.044
Mn4 Mn 0.382 0.754 0.501
Mn5 Mn 0.618 0.254 0.999
Mn6 Mn 0.638 0.072 0.456
Mn7 Mn 0.862 0.928 0.956
Mn8 Mn 0.882 0.746 0.499
P1 P 0.130 0.101 0.427
P2 P 0.130 0.735 0.659
P3 P 0.370 0.265 0.159
P4 P 0.370 0.899 0.927
P5 P 0.630 0.399 0.573
P6 P 0.630 0.765 0.341
P7 P 0.870 0.235 0.841
P8 P 0.870 0.601 0.073
H1 H 0.026 0.608 0.331
H2 H 0.063 0.220 0.670
H3 H 0.131 0.525 0.245
H4 H 0.160 0.435 0.340
H5 H 0.202 0.108 0.608
H6 H 0.231 0.383 0.821
H7 H 0.233 0.129 0.297
H8 H 0.267 0.871 0.797
H9 H 0.269 0.617 0.321
H10 H 0.298 0.892 0.108
H11 H 0.340 0.565 0.840
H12 H 0.369 0.475 0.745
H13 H 0.437 0.780 0.170
H14 H 0.474 0.392 0.831
H15 H 0.526 0.892 0.669
H16 H 0.563 0.280 0.330
H17 H 0.631 0.975 0.755
H18 H 0.660 0.065 0.660
H19 H 0.702 0.392 0.392
H20 H 0.731 0.117 0.179
H21 H 0.733 0.371 0.703
H22 H 0.767 0.629 0.203
H23 H 0.769 0.883 0.679
H24 H 0.798 0.608 0.892
H25 H 0.840 0.935 0.160
H26 H 0.869 0.025 0.255
H27 H 0.937 0.720 0.830
H28 H 0.974 0.108 0.169
N1 N 0.146 0.546 0.307
N2 N 0.354 0.454 0.807
N3 N 0.646 0.954 0.693
N4 N 0.854 0.046 0.193
O1 O 0.050 0.517 0.037
O2 O 0.054 0.302 0.885
O3 O 0.117 0.776 0.751
O4 O 0.120 0.075 0.330
O5 O 0.128 0.297 0.441
O6 O 0.133 0.646 0.485
O7 O 0.135 0.215 0.617
O8 O 0.145 0.540 0.649
O9 O 0.185 0.976 0.963
O10 O 0.189 0.179 0.118
O11 O 0.311 0.821 0.618
O12 O 0.315 0.024 0.463
O13 O 0.355 0.460 0.149
O14 O 0.365 0.785 0.117
O15 O 0.367 0.354 0.985
O16 O 0.372 0.703 0.941
O17 O 0.380 0.925 0.830
O18 O 0.383 0.224 0.251
O19 O 0.446 0.698 0.385
O20 O 0.450 0.483 0.537
O21 O 0.550 0.983 0.963
O22 O 0.554 0.198 0.115
O23 O 0.617 0.724 0.249
O24 O 0.620 0.425 0.670
O25 O 0.628 0.203 0.559
O26 O 0.633 0.854 0.515
O27 O 0.635 0.285 0.383
O28 O 0.645 0.960 0.351
O29 O 0.685 0.524 0.037
O30 O 0.689 0.321 0.882
O31 O 0.811 0.679 0.382
O32 O 0.815 0.476 0.537
O33 O 0.855 0.040 0.851
O34 O 0.865 0.715 0.883
O35 O 0.867 0.146 0.015
O36 O 0.872 0.797 0.059
O37 O 0.880 0.575 0.170
O38 O 0.883 0.276 0.749
O39 O 0.946 0.802 0.615
O40 O 0.950 0.017 0.463
```

DFT formation energy in kcal/mol of atoms: -41.1
Symmetry: P2_12_12_1


Entry from the Materials Project: Mn3P4H12N2O16 after structural relaxation (GGA+U).

CIF file:
```
data_Mn3P4H12N2O16
_cell_length_a 9.531
_cell_length_b 8.509
_cell_length_c 9.585
_cell_angle_alpha 90.00
_cell_angle_beta 99.73
_cell_angle_gamma 90.00
_symmetry_space_group_name_H-M 'P 1'
_symmetry_Int_Tables_number 1
_symmetry_space_group_name_Hall 'P 1'
loop_
+++
== Here the piece continues ==

The green mamba is a highly venomous snake and definitely not one you would love to get as a pet. Its venom contains cardiotoxins and neurotoxins. These toxins cause quick respiratory paralysis because they affect the brain and heart. If left untreated for a short time, their bites can induce death. Green tree snakes are are non-venomous species. Sure, you don’t want to be bitten by one because it will be painful. But if you get bitten by one, you have nothing to worry about except for some slight swelling and discomfort.

Green Mamba vs Green Tree Snake: Distribution

The green mamba is found in parts of Africa, while the green tree snake is symbolic to Australia. Where you find the green mamba depends on the species you want to see. The western green mamba can be found in the woodlands and tropical rain forests of southern areas of West Africa, while the eastern green mamba can be found along the coasts of East Africa (from South Africa to Kenya) – usually in the coastal bushlands and woodlands. Green tree snakes can be found in the tropical forests along Northern and Eastern Australia. They can also be found in New South Wales and the northern part of Papua New Guinea.

Green Mamba vs Green Tree Snake: Feeding

Both of these snakes are carnivorous in nature. Green mambas are naturally solitary animals; they love to stay on their own. Hence, they love to do their hunting alone. They feed on rodents, lizards, frogs, birds, eggs, and small mammals that they can easily dominate and crush.  Green tree snakes feed primarily on rodents, small mammals, lizards, some fish, amphibians, and sometimes, other smaller snakes.

Green Mamba vs Boomslang: Tree Hugging

The green mamba loves to stay on trees. They spend most of their lives on trees, only coming down when they need to hunt for food, water, and forage. Green tree snakes can stay on trees, but they are more active and can be found around.

Green Mamba vs Boomslang: Mating

Green mambas usually have many mates; they are not loyal to just one mate like some animals. When it’s time to mate, a male green mamba will locate its female by following her scent trail. Females usually have a lot of males wanting to mate with them. The competition isn’t typically violent; it doesn’t involve biting, just submission. The male who wins mates with the female who will later lay about 4 to 17 eggs. It takes about ten weeks to twelve weeks for the eggs to hatch. The green tree snake has a bunch of females participating in the mating process. The females typically lay about 5 to 12 eggs in a clutch. Under some special circumstances, female green tree snakes lay eggs that need to be incubated for them to hatch. It usually takes about six to ten weeks for the eggs to hatch.